File
~~~
Density functional theory data (GGA-PBE) for a relaxed structure of UCuSi.

Properties
Its crystal system is monoclinic. Its space-group type is Cm (8). The energy of formation is -0.050 eV per atom. The value obtained for the total energy is -7.013 eV/atom.

```
UCuSi
1.0
0.531 2.724 -0.164
-2.072 3.465 3.413
4.375 -0.821 0.543
U Cu Si
1 1 1
Direct
0.000 0.000 0.000
0.166 0.333 0.666
0.834 0.667 0.333
```

=====

(1)
Here is crystalline Na3CuBSO7 at its relaxed geometry from the Materials Project database. Energies are from PBE-GGA.

## Properties
The electronic total energy comes out at -150.72 eV/cell. The crystal system is monoclinic.

Structure (POSCAR):
```
Na3CuBSO7
1.0
5.1274 0.0000 0.0000
0.0000 7.2259 0.0000
-0.1683 0.0000 8.7667
Na Cu B S O
6 2 2 2 14
Direct
0.2423 0.2500 0.0720
0.2492 0.0052 0.7504
0.2492 0.4948 0.7504
0.7508 0.5052 0.2496
0.7508 0.9948 0.2496
0.7577 0.7500 0.9280
0.2230 0.7500 0.3383
0.7770 0.2500 0.6617
0.2647 0.7500 0.0647
0.7353 0.2500 0.9353
0.2930 0.2500 0.4162
0.7070 0.7500 0.5838
0.0281 0.7500 0.1414
0.1555 0.2500 0.5651
0.2246 0.0838 0.3242
0.2246 0.4162 0.3242
0.2843 0.7500 0.9113
0.4165 0.7500 0.5483
0.4761 0.7500 0.1675
0.5239 0.2500 0.8325
0.5835 0.2500 0.4517
0.7157 0.2500 0.0887
0.7754 0.5838 0.6758
0.7754 0.9162 0.6758
0.8445 0.7500 0.4349
0.9719 0.2500 0.8586
```

=====

(2)
Here is crystalline Cs2SnO3 at its relaxed geometry from the Materials Project database. Energies are from PBE-GGA.

## Properties
The electronic total energy comes out at -59.98 eV/cell. The crystal system is orthorhombic.

Structure (POSCAR):
```
Cs2SnO3
1.0
5.7112 -3.9410 0.0000
5.7112 3.9410 0.0000
0.0000 0.0000 5.9284
Cs Sn O
4 2 6
Direct
0.0173 0.3072 0.2500
0.3072 0.0173 0.7500
0.6928 0.9827 0.2500
0.9827 0.6928 0.7500
0.4171 0.5829 0.2500
0.5829 0.4171 0.7500
0.1676 0.8324 0.2500
0.3816 0.3816 0.0000
0.3816 0.3816 0.5000
0.6184 0.6184 0.0000
0.6184 0.6184 0.5000
0.8324 0.1676 0.7500
```
~~~
Work order
It remains to transcribe the notes further above without altering anything.
Result
Density functional theory data (GGA-PBE) for a relaxed structure of UCuSi.

Properties
Its crystal system is monoclinic. Its space-group type is Cm (8). The energy of formation is -0.050 eV per atom. The value obtained for the total energy is -7.013 eV/atom.

```
UCuSi
1.0
0.531 2.724 -0.164
-2.072 3.465 3.413
4.375 -0.821 0.543
U Cu Si
1 1 1
Direct
0.000 0.000 0.000
0.166 0.333 0.666
0.834 0.667 0.333
```

=====

(1)
Here is crystalline Na3CuBSO7 at its relaxed geometry from the Materials Project database. Energies are from PBE-GGA.

## Properties
The electronic total energy comes out at -150.72 eV/cell. The crystal system is monoclinic.

Structure (POSCAR):
```
Na3CuBSO7
1.0
5.1274 0.0000 0.0000
0.0000 7.2259 0.0000
-0.1683 0.0000 8.7667
Na Cu B S O
6 2 2 2 14
Direct
0.2423 0.2500 0.0720
0.2492 0.0052 0.7504
0.2492 0.4948 0.7504
0.7508 0.5052 0.2496
0.7508 0.9948 0.2496
0.7577 0.7500 0.9280
0.2230 0.7500 0.3383
0.7770 0.2500 0.6617
0.2647 0.7500 0.0647
0.7353 0.2500 0.9353
0.2930 0.2500 0.4162
0.7070 0.7500 0.5838
0.0281 0.7500 0.1414
0.1555 0.2500 0.5651
0.2246 0.0838 0.3242
0.2246 0.4162 0.3242
0.2843 0.7500 0.9113
0.4165 0.7500 0.5483
0.4761 0.7500 0.1675
0.5239 0.2500 0.8325
0.5835 0.2500 0.4517
0.7157 0.2500 0.0887
0.7754 0.5838 0.6758
0.7754 0.9162 0.6758
0.8445 0.7500 0.4349
0.9719 0.2500 0.8586
```

=====

(2)
Here is crystalline Cs2SnO3 at its relaxed geometry from the Materials Project database. Energies are from PBE-GGA.

## Properties
The electronic total energy comes out at -59.98 eV/cell. The crystal system is orthorhombic.

Structure (POSCAR):
```
Cs2SnO3
1.0
5.7112 -3.9410 0.0000
5.7112 3.9410 0.0000
0.0000 0.0000 5.9284
Cs Sn O
4 2 6
Direct
0.0173 0.3072 0.2500
0.3072 0.0173 0.7500
0.6928 0.9827 0.2500
0.9827 0.6928 0.7500
0.4171 0.5829 0.2500
0.5829 0.4171 0.7500
0.1676 0.8324 0.2500
0.3816 0.3816 0.0000
0.3816 0.3816 0.5000
0.6184 0.6184 0.0000
0.6184 0.6184 0.5000
0.8324 0.1676 0.7500
```